Input:
'''
(1)
This record from the Alexandria database describes GaBiPb after structural relaxation. The functional is PBE-GGA.

The structure in POSCAR format:
```
GaBiPb
1.0
-1.812 1.812 6.315
1.812 -1.812 6.315
1.812 1.812 -6.315
Ga Bi Pb
1 1 1
direct
0.000 0.000 0.000
0.348 0.348 0.000
0.652 0.652 0.000
```

Calculated values
Calculated formation energy: 0.068 eV/atom
Volume: 83.0 Å³ per cell
Energy above the lowest structure with this stoichiometry: 8 meV/atom

(2)
This record from the Alexandria database describes DyLuZnGa after structural relaxation. The functional is PBE-GGA.

The structure in POSCAR format:
```
DyLuZnGa
1.0
0.000 3.532 3.532
3.532 0.000 3.532
3.532 3.532 0.000
Dy Lu Zn Ga
1 1 1 1
direct
0.000 0.000 0.000
0.500 0.500 0.500
0.750 0.750 0.750
0.250 0.250 0.250
```

Calculated values
Calculated formation energy: -0.471 eV/atom
Volume: 88.1 Å³ per cell

(3)
This record from the Alexandria database describes ScTlTe2 after structural relaxation. The functional is PBE-GGA.

The structure in POSCAR format:
```
ScTlTe2
1.0
2.148 1.240 8.400
-2.148 1.240 8.400
0.000 -2.481 8.400
Sc Tl Te
1 1 2
direct
0.000 0.000 0.000
0.256 0.256 0.256
0.526 0.526 0.526
0.723 0.723 0.723
```

Calculated values
Volume: 134.3 Å³ per cell
Uncorrected formation energy: -0.49 eV per atom

(4)
This record from the Alexandria database describes ScRh after structural relaxation. The functional is PBE-GGA.

The structure in POSCAR format:
```
ScRh
1.0
8.779 0.000 0.000
-4.389 7.603 0.000
0.000 0.000 3.919
Sc Rh
6 6
direct
0.206 0.411 0.250
0.206 0.794 0.250
0.411 0.206 0.750
0.589 0.794 0.250
0.794 0.206 0.750
0.794 0.589 0.750
0.129 0.564 0.750
0.436 0.564 0.750
0.436 0.871 0.750
0.564 0.129 0.250
0.564 0.436 0.250
0.871 0.436 0.250
```

Calculated values
Calculated formation energy: -0.603 eV/atom
Volume: 261.6 Å³ per cell

(5)
This record from the Alexandria database describes Er4Si6Ru7 after structural relaxation. The functional is PBE-GGA.

The structure in POSCAR format:
```
Er4Si6Ru7
1.0
-4.108 4.108 4.108
4.108 -4.108 4.108
4.108 4.108 -4.108
Er Si Ru
4 6 7
direct
0.000 0.000 0.500
0.000 0.500 0.000
0.500 0.000 0.000
0.500 0.500 0.500
0.000 0.320 0.320
0.000 0.680 0.680
0.320 0.000 0.320
0.320 0.320 0.000
0.680 0.000 0.680
0.680 0.680 0.000
0.000 0.000 0.000
0.250 0.500 0.750
0.250 0.750 0.500
0.500 0.250 0.750
0.500 0.750 0.250
0.750 0.250 0.500
0.750 0.500 0.250
```

Calculated values
Volume: 277.4 Å³ per cell
Uncorrected formation energy: -0.73 eV per atom

(6)
This record from the Alexandria database describes La2GeSe5 after structural relaxation. The functional is PBE-GGA.

The structure in POSCAR format:
```
La2GeSe5
1.0
2.951 -7.584 0.000
2.951 7.584 0.000
0.000 0.000 13.256
La Ge Se
4 2 10
direct
0.167 0.833 0.576
0.167 0.833 0.924
0.833 0.167 0.076
0.833 0.167 0.424
0.193 0.807 0.250
0.807 0.193 0.750
0.028 0.972 0.087
0.028 0.972 0.413
0.287 0.713 0.750
0.297 0.703 0.096
0.297 0.703 0.404
0.703 0.297 0.596
0.703 0.297 0.904
0.713 0.287 0.250
0.972 0.028 0.587
0.972 0.028 0.913
```

Calculated values
Volume: 593.5 Å³ per cell
Uncorrected formation energy: -1.19 eV per atom

(7)
This record from the Alexandria database describes BaMg6 after structural relaxation. The functional is PBE-GGA.

The structure in POSCAR format:
```
BaMg6
1.0
6.918 0.000 0.000
0.000 6.918 0.000
0.000 0.000 6.918
Ba Mg
1 6
direct
0.000 0.000 0.000
0.197 0.500 0.500
0.500 0.197 0.500
0.500 0.500 0.197
0.500 0.500 0.803
0.500 0.803 0.500
0.803 0.500 0.500
```

Calculated values
Calculated formation energy: 0.578 eV/atom
Volume: 331.1 Å³ per cell
Energy above the lowest structure with this stoichiometry: 623 meV/atom

(8)
This record from the Alexandria database describes Tb2Ga2SnRh5 after structural relaxation. The functional is PBE-GGA.

The structure in POSCAR format:
```
Tb2Ga2SnRh5
1.0
9.830 0.000 0.000
0.000 9.830 0.000
0.000 0.000 3.610
Tb Ga Sn Rh
4 4 2 10
direct
0.174 0.326 0.000
0.326 0.826 0.000
0.674 0.174 0.000
0.826 0.674 0.000
'''
Work order:
Your job: search the calculation results further up for the word "values" and print each line that has it.
Here it is:
Calculated values
Calculated values
Calculated values
Calculated values
Calculated values
Calculated values
Calculated values